Activity:
Next, repeat the block further down from the first line to the one with "0.490)" without altering anything.

Given:
-- begin --
Structure and computed powder diffractogram of Li2VO2F (a PBE+U-relaxed structure; Cu Kα).
Kinematic intensities with the Lorentz-polarization factor, no thermal factor.

Main lines, low angle first (15° ≤ 2θ ≤ 90°):
2theta, I/Imax
24.14, 62
34.32, 31
42.13, 100
43.26, 44
61.19, 23
62.00, 35

Structural model:
a b c (Å): 3.028 8.020 10.345
angles (deg): 110.22 90.12 100.82
Fractional coordinates of all 24 atoms:
Li (0.000, 0.000, 0.000)
Li (0.006, 0.010, 0.515)
Li (0.348, 0.697, 0.348)
Li (0.369, 0.732, 0.853)
Li (0.495, 0.988, 0.783)
Li (0.506, 0.010, 0.260)
Li (0.848, 0.697, 0.097)
Li (0.868, 0.739, 0.615)
V (0.174, 0.351, 0.935)
V (0.176, 0.352, 0.426)
V (0.671, 0.356, 0.183)
V (0.686, 0.342, 0.690)
O (0.084, 0.203, 0.228)
O (0.103, 0.202, 0.723)
O (0.258, 0.509, 0.142)
O (0.606, 0.207, 0.982)
O (0.619, 0.216, 0.482)
O (0.740, 0.508, 0.392)
O (0.742, 0.496, 0.888)
O (0.928, 0.851, 0.808)
F (0.270, 0.506, 0.641)
F (0.424, 0.852, 0.067)
F (0.427, 0.857, 0.546)
F (0.932, 0.860, 0.310)

Structure and computed powder diffractogram of Li2V2O5F2 (a PBE+U-relaxed structure; Cu Kα).
Kinematic intensities with the Lorentz-polarization factor, no thermal factor.

Main lines, low angle first (15° ≤ 2θ ≤ 90°):
2theta, I/Imax
17.76, 100
25.28, 47
28.72, 76
29.65, 44
30.08, 80
30.48, 73

Structural model:
a b c (Å): 7.063 7.063 6.880
angles (deg): 116.70 116.70 61.93
Fractional coordinates of all 22 atoms:
Li (0.017, 0.983, 0.500)
Li (0.397, 0.858, 0.875)
Li (0.858, 0.397, 0.375)
Li (0.983, 0.017, 0.000)
V (0.392, 0.412, 0.395)
V (0.412, 0.392, 0.895)
V (0.475, 0.891, 0.445)
V (0.891, 0.475, 0.945)
O (0.110, 0.479, 0.236)
O (0.132, 0.462, 0.865)
O (0.360, 0.753, 0.494)
O (0.370, 0.515, 0.692)
O (0.462, 0.132, 0.365)
O (0.479, 0.110, 0.736)
O (0.515, 0.370, 0.192)
O (0.737, 0.744, 0.984)
O (0.744, 0.737, 0.484)
O (0.753, 0.360, 0.994)
F (0.047, 0.094, 0.317)
F (0.094, 0.047, 0.817)
F (0.369, 0.768, 0.112)
F (0.768, 0.369, 0.612)

Structure and computed powder diffractogram of Li2VO2F (a PBE+U-relaxed structure; Cu Kα).
Kinematic intensities with the Lorentz-polarization factor, no thermal factor.

Main lines, low angle first (15° ≤ 2θ ≤ 90°):
2theta, I/Imax
23.34, 31
29.18, 61
38.52, 35
42.88, 53
43.20, 100
62.50, 54

Structural model:
a b c (Å): 4.218 2.958 8.896
angles (deg): 90.00 90.06 90.00
Fractional coordinates of all 12 atoms:
Li (0.000, 0.000, 0.000)
Li (0.000, 0.000, 0.314)
Li (0.499, 0.500, 0.167)
Li (0.499, 0.500, 0.852)
V (0.500, 0.500, 0.490)
V (0.999, 0.000, 0.676)
O (0.000, 0.500, 0.513)
O (0.001, 0.500, 0.825)
O (0.498, 0.000, 0.341)
O (0.500, 0.000, 0.654)
F (0.500, 0.000, 0.005)
F (0.999, 0.500, 0.161)

----------

# 1
Structure and theoretical X-ray powder pattern of Li5Ti2Fe5O12 (the GGA+U geometry in the Materials Project; Cu Kα X-rays).
Kinematic intensities with the Lorentz-polarization factor, no thermal factor.

```
data_Li5Ti2Fe5O12
_space_group_name_H-M_alt 'C 1 2 1'
_space_group_IT_number 5
_cell_length_a 5.1644
_cell_length_b 9.1579
_cell_length_c 10.0303
_cell_angle_alpha 90.00
_cell_angle_beta 101.48
_cell_angle_gamma 90.00
loop_
_space_group_symop_operation_xyz
'x,y,z'
'-x,y,-z'
'x+1/2,y+1/2,z'
'-x+1/2,y+1/2,-z'
loop_
_atom_site_label
_atom_site_type_symbol
_atom_site_fract_x
_atom_site_fract_y
_atom_site_fract_z
_atom_site_occupancy
Li1 Li 0.0000 0.0000 0.0000 1
Li2 Li 0.2472 0.8403 0.2448 1
Li3 Li 0.2479 0.0026 0.7536 1
Ti1 Ti 0.0000 0.1740 0.5000 1
Ti2 Ti 0.0000 0.6682 0.0000 1
Fe1 Fe 0.0000 0.3393 0.0000 1
Fe2 Fe 0.0000 0.5012 0.5000 1
Fe3 Fe 0.0000 0.8430 0.5000 1
Fe4 Fe 0.2495 0.1661 0.2481 1
O1 O 0.1034 0.0170 0.3798 1
O2 O 0.1043 0.3253 0.3815 1
O3 O 0.1050 0.5082 0.8862 1
O4 O 0.1280 0.8232 0.8858 1
O5 O 0.1319 0.6716 0.3821 1
O6 O 0.1372 0.1786 0.8856 1
```

Principal peaks in the range 2θ from 10° to 80°, low angle first:
index, two_theta, I (rel.)
0 0 2, 18.0, 35
0 2 0, 19.4, 19
1 1 -1, 20.5, 19
1 1 1, 23.4, 26
2 0 -2, 36.5, 31
1 3 -3, 41.9, 100
2 0 2, 43.4, 46
1 3 5, 61.9, 52

# 2
-- stop --

Here it is:
Structure and computed powder diffractogram of Li2VO2F (a PBE+U-relaxed structure; Cu Kα).
Kinematic intensities with the Lorentz-polarization factor, no thermal factor.

Main lines, low angle first (15° ≤ 2θ ≤ 90°):
2theta, I/Imax
24.14, 62
34.32, 31
42.13, 100
43.26, 44
61.19, 23
62.00, 35

Structural model:
a b c (Å): 3.028 8.020 10.345
angles (deg): 110.22 90.12 100.82
Fractional coordinates of all 24 atoms:
Li (0.000, 0.000, 0.000)
Li (0.006, 0.010, 0.515)
Li (0.348, 0.697, 0.348)
Li (0.369, 0.732, 0.853)
Li (0.495, 0.988, 0.783)
Li (0.506, 0.010, 0.260)
Li (0.848, 0.697, 0.097)
Li (0.868, 0.739, 0.615)
V (0.174, 0.351, 0.935)
V (0.176, 0.352, 0.426)
V (0.671, 0.356, 0.183)
V (0.686, 0.342, 0.690)
O (0.084, 0.203, 0.228)
O (0.103, 0.202, 0.723)
O (0.258, 0.509, 0.142)
O (0.606, 0.207, 0.982)
O (0.619, 0.216, 0.482)
O (0.740, 0.508, 0.392)
O (0.742, 0.496, 0.888)
O (0.928, 0.851, 0.808)
F (0.270, 0.506, 0.641)
F (0.424, 0.852, 0.067)
F (0.427, 0.857, 0.546)
F (0.932, 0.860, 0.310)

Structure and computed powder diffractogram of Li2V2O5F2 (a PBE+U-relaxed structure; Cu Kα).
Kinematic intensities with the Lorentz-polarization factor, no thermal factor.

Main lines, low angle first (15° ≤ 2θ ≤ 90°):
2theta, I/Imax
17.76, 100
25.28, 47
28.72, 76
29.65, 44
30.08, 80
30.48, 73

Structural model:
a b c (Å): 7.063 7.063 6.880
angles (deg): 116.70 116.70 61.93
Fractional coordinates of all 22 atoms:
Li (0.017, 0.983, 0.500)
Li (0.397, 0.858, 0.875)
Li (0.858, 0.397, 0.375)
Li (0.983, 0.017, 0.000)
V (0.392, 0.412, 0.395)
V (0.412, 0.392, 0.895)
V (0.475, 0.891, 0.445)
V (0.891, 0.475, 0.945)
O (0.110, 0.479, 0.236)
O (0.132, 0.462, 0.865)
O (0.360, 0.753, 0.494)
O (0.370, 0.515, 0.692)
O (0.462, 0.132, 0.365)
O (0.479, 0.110, 0.736)
O (0.515, 0.370, 0.192)
O (0.737, 0.744, 0.984)
O (0.744, 0.737, 0.484)
O (0.753, 0.360, 0.994)
F (0.047, 0.094, 0.317)
F (0.094, 0.047, 0.817)
F (0.369, 0.768, 0.112)
F (0.768, 0.369, 0.612)

Structure and computed powder diffractogram of Li2VO2F (a PBE+U-relaxed structure; Cu Kα).
Kinematic intensities with the Lorentz-polarization factor, no thermal factor.

Main lines, low angle first (15° ≤ 2θ ≤ 90°):
2theta, I/Imax
23.34, 31
29.18, 61
38.52, 35
42.88, 53
43.20, 100
62.50, 54

Structural model:
a b c (Å): 4.218 2.958 8.896
angles (deg): 90.00 90.06 90.00
Fractional coordinates of all 12 atoms:
Li (0.000, 0.000, 0.000)
Li (0.000, 0.000, 0.314)
Li (0.499, 0.500, 0.167)
Li (0.499, 0.500, 0.852)
V (0.500, 0.500, 0.490)